**To do**
Next, copy the material further down from the first line to the one with "0.6462 9.2033" without additions.

**Given**
____________
# PtC8S4F12
Computed X-ray powder pattern, CuKα. Input: a GGA-PBE-relaxed structure.
Intensities are scaled so that the largest is 100.

Largest 10 diffraction maxima, in order of rising 2θ, 2θ from 10° to 80°:
d = 8.550 Å, 10.35 deg, I 100; d = 7.768 Å, 11.39 deg, I 39; d = 4.621 Å, 19.21 deg, I 24; d = 4.590 Å, 19.34 deg, I 38; d = 4.275 Å, 20.78 deg, I 32; d = 4.098 Å, 21.69 deg, I 28; d = 3.991 Å, 22.28 deg, I 72; d = 3.894 Å, 22.84 deg, I 40; d = 3.550 Å, 25.09 deg, I 26; d = 2.498 Å, 35.96 deg, I 25

Structure:
```
50
Lattice="4.9547 0.0000 0.0000 0.0000 15.5354 0.0000 -2.3747 0.0000 10.2404" Properties=species:S:1:pos:R:3 pbc="T T T"
Pt 0.0000 0.0000 0.0000
Pt -1.1874 7.7677 5.1202
C -0.0091 1.2241 6.6092
C 1.1783 6.5436 1.4890
C 0.0774 10.1303 6.8362
C 1.2648 13.1728 1.7160
C 0.3798 11.5621 7.2713
C 1.5672 11.7410 2.1511
C 0.5443 8.9883 7.4902
C 1.7316 14.3148 2.3699
C 0.8483 1.2206 7.8705
C 2.0357 6.5471 2.7503
C 1.0128 3.7944 8.0894
C 2.2002 3.9733 2.9691
C 1.3152 2.3626 8.5245
C 2.5026 5.4051 3.4043
C 1.4017 8.9918 8.7514
C 2.5890 14.3113 3.6312
S -0.8978 9.9904 5.4497
S 0.2895 13.3127 0.3295
S 1.3123 0.3294 1.8103
S 0.1249 7.4383 6.9305
S 2.4550 8.0971 3.3099
S 1.2677 15.2060 8.4302
S 2.2904 2.2227 9.9109
S 3.4778 5.5450 4.7907
F -0.9788 2.1826 6.6414
F 0.2086 5.5851 1.5212
F -0.6457 0.0320 6.4478
F 0.5417 7.7357 1.3276
F 0.7425 10.8474 1.5462
F -0.4449 12.4557 6.6664
F 0.9230 3.6052 3.2788
F -0.2643 4.1625 8.3990
F 0.7464 1.4356 5.4954
F 1.9337 6.3321 0.3752
F 1.4055 11.5783 3.4981
F 0.2182 11.7248 8.6183
F 2.3618 3.8106 1.6221
F 1.1745 3.9571 6.7424
F 0.6462 9.2033 9.8652
F 1.8336 14.0998 4.7450
F 2.8443 11.3729 1.8414
F 1.6570 11.9302 6.9616
F 3.0249 3.0797 3.5741
F 1.8375 4.6880 8.6943
F 2.0383 7.7997 8.9128
F 3.2256 15.5034 3.7926
F 2.3714 9.9503 8.7192
F 3.5588 13.3528 3.5990
```


(1)
# Pr2GePt
Simulated X-ray diffraction stick pattern, Cu Ka. Input: a DFT-relaxed cell (GGA-PBE, Alexandria).
Neutral-atom scattering factors, no anomalous dispersion.

Most intense lines, 2θ from 10° to 80°, most intense first:
| 2θ (°) | intensity |
| --- | --- |
| 30.57 | 100 |
| 38.06 | 41 |
| 38.25 | 38 |
| 40.79 | 30 |
| 37.83 | 28 |
| 31.73 | 27 |
| 43.57 | 24 |
| 61.21 | 17 |
| 52.91 | 15 |
| 32.00 | 14 |
| 32.22 | 13 |
| 52.58 | 13 |

Atomic structure:
Unit cell a=6.024 b=4.424 c=8.308 alpha=90.00 beta=110.55 gamma=90.00
Fractional coordinates of all 8 atoms:
Pr (0.221, 0.250, 0.440)
Pr (0.225, 0.250, 0.916)
Pr (0.775, 0.750, 0.084)
Pr (0.779, 0.750, 0.560)
Ge (0.331, 0.750, 0.206)
Ge (0.669, 0.250, 0.794)
Pt (0.349, 0.750, 0.710)
Pt (0.651, 0.250, 0.290)

***

(2)
# MgAlZn
Simulated X-ray diffraction stick pattern, Cu Ka. Input: a DFT-relaxed cell (GGA-PBE, Alexandria).
Neutral-atom scattering factors, no anomalous dispersion.

Most intense lines, 2θ from 10° to 80°, most intense first:
| 2θ (°) | intensity |
| --- | --- |
| 37.87 | 100 |
| 39.35 | 97 |
| 22.42 | 54 |
| 50.34 | 32 |
| 55.76 | 31 |
| 70.37 | 29 |
| 76.51 | 25 |
| 30.12 | 23 |
| 71.35 | 15 |
| 45.76 | 8 |
| 79.36 | 8 |
| 62.62 | 8 |

Atomic structure:
Unit cell a=4.579 b=4.579 c=2.967 alpha=90.00 beta=90.00 gamma=120.00
Fractional coordinates of all 3 atoms:
Mg (0.000, 0.000, 0.000)
Al (0.667, 0.333, 0.500)
Zn (0.333, 0.667, 0.500)

***

(3)
# CuB5Pt8
Simulated X-ray diffraction stick pattern, Cu Ka. Input: a DFT-relaxed cell (GGA-PBE, Alexandria).
Neutral-atom scattering factors, no anomalous dispersion.

Most intense lines, 2θ from 10° to 80°, most intense first:
| 2θ (°) | intensity |
| --- | --- |
| 36.40 | 100 |
| 38.92 | 63 |
| 34.89 | 61 |
| 46.76 | 56 |
| 32.35 | 54 |
| 43.32 | 53 |
| 33.82 | 26 |
| 60.63 | 23 |
| 52.22 | 22 |
| 75.16 | 22 |
| 41.12 | 19 |
| 36.69 | 18 |

Atomic structure:
Unit cell a=8.164 b=8.164 c=7.430 alpha=94.28 beta=94.28 gamma=21.57
Fractional coordinates of all 14 atoms:
Cu (0.000, 0.000, 0.000)
B (0.062, 0.062, 0.749)
B (0.124, 0.124, 0.399)
B (0.391, 0.391, 0.437)
B (0.656, 0.656, 0.168)
B (0.757, 0.757, 0.825)
____________

**Reply**
# PtC8S4F12
Computed X-ray powder pattern, CuKα. Input: a GGA-PBE-relaxed structure.
Intensities are scaled so that the largest is 100.

Largest 10 diffraction maxima, in order of rising 2θ, 2θ from 10° to 80°:
d = 8.550 Å, 10.35 deg, I 100; d = 7.768 Å, 11.39 deg, I 39; d = 4.621 Å, 19.21 deg, I 24; d = 4.590 Å, 19.34 deg, I 38; d = 4.275 Å, 20.78 deg, I 32; d = 4.098 Å, 21.69 deg, I 28; d = 3.991 Å, 22.28 deg, I 72; d = 3.894 Å, 22.84 deg, I 40; d = 3.550 Å, 25.09 deg, I 26; d = 2.498 Å, 35.96 deg, I 25

Structure:
```
50
Lattice="4.9547 0.0000 0.0000 0.0000 15.5354 0.0000 -2.3747 0.0000 10.2404" Properties=species:S:1:pos:R:3 pbc="T T T"
Pt 0.0000 0.0000 0.0000
Pt -1.1874 7.7677 5.1202
C -0.0091 1.2241 6.6092
C 1.1783 6.5436 1.4890
C 0.0774 10.1303 6.8362
C 1.2648 13.1728 1.7160
C 0.3798 11.5621 7.2713
C 1.5672 11.7410 2.1511
C 0.5443 8.9883 7.4902
C 1.7316 14.3148 2.3699
C 0.8483 1.2206 7.8705
C 2.0357 6.5471 2.7503
C 1.0128 3.7944 8.0894
C 2.2002 3.9733 2.9691
C 1.3152 2.3626 8.5245
C 2.5026 5.4051 3.4043
C 1.4017 8.9918 8.7514
C 2.5890 14.3113 3.6312
S -0.8978 9.9904 5.4497
S 0.2895 13.3127 0.3295
S 1.3123 0.3294 1.8103
S 0.1249 7.4383 6.9305
S 2.4550 8.0971 3.3099
S 1.2677 15.2060 8.4302
S 2.2904 2.2227 9.9109
S 3.4778 5.5450 4.7907
F -0.9788 2.1826 6.6414
F 0.2086 5.5851 1.5212
F -0.6457 0.0320 6.4478
F 0.5417 7.7357 1.3276
F 0.7425 10.8474 1.5462
F -0.4449 12.4557 6.6664
F 0.9230 3.6052 3.2788
F -0.2643 4.1625 8.3990
F 0.7464 1.4356 5.4954
F 1.9337 6.3321 0.3752
F 1.4055 11.5783 3.4981
F 0.2182 11.7248 8.6183
F 2.3618 3.8106 1.6221
F 1.1745 3.9571 6.7424
F 0.6462 9.2033 9.8652